
*short English translation at the bottom*

Materials data, kept here for reference >
32
Lattice="-3.7464 -0.9596 -4.5031 2.5171 5.7840 -1.3662 6.7915 -3.1799 -2.3767" Properties=species:S:1:pos:R:3 comment="Li9Mn2Co5O16 (PBE with a Hubbard U, relaxed)" magnetic_moment_mub_per_fu=12.0 energy_corrected_mp2020_ev_per_atom=-6.511 pbc="T T T"
O -1.6059 -1.0650 -4.0981
O 6.6812 -1.3389 -2.9477
O 0.0502 -0.6133 -1.8934
O 4.9579 0.6833 -3.6540
O 2.9104 -0.9983 -3.5474
O 3.0276 0.3516 -5.9280
O 2.9108 2.7337 -4.5677
O 0.5180 3.4016 -3.2036
O 0.6684 0.9502 -4.5559
O 2.5548 1.4177 -2.3094
O 7.1014 2.7121 -4.1905
O -1.3830 2.8953 -5.4462
O 0.8119 -1.5408 -5.9536
O 4.7436 3.2022 -2.3064
O 5.0404 -1.7949 -5.0433
O 5.4986 2.1344 -6.3578
Li 5.0513 2.7426 -4.4093
Li 2.5240 -0.5797 -1.6176
Li 2.9266 -1.6216 -5.4973
Li 0.5321 -1.0567 -3.9133
Li 5.1039 0.2050 -5.7151
Li 0.3550 1.4353 -2.5255
Li 7.0023 0.6419 -3.3788
Li -1.4383 0.9634 -4.7742
Li 3.1054 2.2476 -6.6087
Co 4.7719 -1.1749 -3.2417
Co 2.6330 3.2777 -2.7599
Co 2.8404 0.8351 -4.1257
Co 0.7801 2.8150 -5.0061
Co 0.9932 0.3345 -6.3553
Mn 7.3807 2.1174 -6.0096
Mn 9.2560 2.6015 -3.7376

* * * * *

Record 1
Dy6Al43Cr4 after structural relaxation, computed with GGA-PBE.

Output
VASP energy	-4.56	eV per atom
space group	P6_3/mcm, No. 193

Lattice parameters (Å, degrees): 10.9702 10.9702 17.5262 90.00 90.00 120.00
With the nearest neighbours (Å) after each atom.
Sites, in units of the cell vectors:
Dy  0.4704  0.4704  0.9047  14 Al 3.04-3.37, 1 Dy 3.40
Dy  0.5296  0.0000  0.9047  14 Al 3.04-3.37, 1 Dy 3.40
Dy  0.0000  0.5296  0.9047  14 Al 3.04-3.37, 1 Dy 3.40
Dy  0.5296  0.5296  0.0953  14 Al 3.04-3.37, 1 Dy 3.40
Dy  0.4704  0.0000  0.0953  14 Al 3.04-3.37, 1 Dy 3.40
Dy  0.0000  0.4704  0.0953  14 Al 3.04-3.37, 1 Dy 3.40
Dy  0.5296  0.5296  0.4047  14 Al 3.04-3.37, 1 Dy 3.40
Dy  0.4704  0.0000  0.4047  14 Al 3.04-3.37, 1 Dy 3.40
Dy  0.0000  0.4704  0.4047  14 Al 3.04-3.37, 1 Dy 3.40
Dy  0.4704  0.4704  0.5953  14 Al 3.04-3.37, 1 Dy 3.40
Dy  0.5296  0.0000  0.5953  14 Al 3.04-3.37, 1 Dy 3.40
Dy  0.0000  0.5296  0.5953  14 Al 3.04-3.37, 1 Dy 3.40
Al  0.8401  0.2312  0.8348  1 Cr 2.65, 6 Al 2.71-2.88
Al  0.7688  0.6089  0.8348  1 Cr 2.65, 6 Al 2.71-2.88
Al  0.3911  0.1599  0.8348  1 Cr 2.65, 6 Al 2.71-2.88
Al  0.2312  0.8401  0.8348  1 Cr 2.65, 6 Al 2.71-2.88
Al  0.6089  0.7688  0.8348  1 Cr 2.65, 6 Al 2.71-2.88
Al  0.1599  0.3911  0.8348  1 Cr 2.65, 6 Al 2.71-2.88
Al  0.1599  0.7688  0.1652  1 Cr 2.65, 6 Al 2.71-2.88
Al  0.2312  0.3911  0.1652  1 Cr 2.65, 6 Al 2.71-2.88
Al  0.6089  0.8401  0.1652  1 Cr 2.65, 6 Al 2.71-2.88
Al  0.7688  0.1599  0.1652  1 Cr 2.65, 6 Al 2.71-2.88
Al  0.3911  0.2312  0.1652  1 Cr 2.65, 6 Al 2.71-2.88
Al  0.8401  0.6089  0.1652  1 Cr 2.65, 6 Al 2.71-2.88
Al  0.1599  0.7688  0.3348  1 Cr 2.65, 6 Al 2.71-2.88
Al  0.2312  0.3911  0.3348  1 Cr 2.65, 6 Al 2.71-2.88
Al  0.6089  0.8401  0.3348  1 Cr 2.65, 6 Al 2.71-2.88
Al  0.7688  0.1599  0.3348  1 Cr 2.65, 6 Al 2.71-2.88
Al  0.3911  0.2312  0.3348  1 Cr 2.65, 6 Al 2.71-2.88
Al  0.8401  0.6089  0.3348  1 Cr 2.65, 6 Al 2.71-2.88

2022/6/7 発表をもとに追記





【2022/6/7追記】 公式より発表された、実際に支払われているというコメント拝見しました。実際には支払われていたとのことで安心しました。



これに関しては創作のスタイルや考え方などもあると思うので、私の情緒的なところが大きいのですが。 例えば読者、視聴者として子供を想定する場合、物語を考える時できるだけ子供に寄り添うものではないでしょうか。

Unrelated to this entry: records of crystals
=====
Here is a relaxed BaZnBO3F crystal from Materials Project. Energies are from PBE.

abc: 5.127 5.127 4.364
angles: 90.00 90.00 120.00
Positions (direct):
Ba 0.000 0.000 0.000
Zn 0.333 0.667 0.500
B 0.667 0.333 0.500
O 0.384 0.309 0.500
O 0.691 0.075 0.500
O 0.925 0.616 0.500
F 0.333 0.667 0.000

Computed properties:
=====
Back to the entry

上記の大項目2件、無償労働の件、関係者様のご発言の件、ここで見ますと実際の発言者の方々個々人の問題のように見えるかもしれませんが、そのようなご発言が許される、また、許され続けているという状況もとても心配しております。無償労働や性被害への揶揄の公の場での発言、というのは、通常の企業が行っているコンプライアンス研修においては「絶対に行ってはいけないこと」として必ず上がるような話だからです。なぜいけないのか?それは会社としての価値を下げ、最終的に会社そのものを危機に陥れるものだからです。 もしも制作会社様が「個人の発言」と流されているのであればそれは大きな間違いで、見ている人は「発言者の所属・協力先」も合わせて評価していることをご理解なさった方がいいと思います。



Calculated crystals, kept here for reference:
- - -
1.
# Ca2Mg r2SCAN relaxed
# * SG: No. 12
# * M_tot: 0.0 μB per formula unit
data_Ca2Mg
_chemical_formula_sum 'Ca4 Mg2'
_cell_length_a 7.5532
_cell_length_b 7.5532
_cell_length_c 7.7724
_cell_angle_alpha 75.05
_cell_angle_beta 75.05
_cell_angle_gamma 29.80
_space_group_name_H-M_alt 'P 1'
_space_group_IT_number 1
loop_
_space_group_symop_operation_xyz
'x,y,z'
loop_
_atom_site_label
_atom_site_type_symbol
_atom_site_fract_x
_atom_site_fract_y
_atom_site_fract_z
Ca1 Ca 0.8523 0.8523 0.0748
Ca2 Ca 0.1473 0.1473 0.4269
Ca3 Ca 0.8527 0.8527 0.5731
Ca4 Ca 0.1477 0.1477 0.9252
Mg1 Mg 0.5008 0.5008 0.2492
Mg2 Mg 0.4992 0.4992 0.7508

---

2.
# SiSnPt5 r2SCAN relaxed
# * SG: No. 123
# * M_tot: 0.0 μB per formula unit
data_SiSnPt5
_chemical_formula_sum 'Si1 Sn1 Pt5'
_cell_length_a 3.9830
_cell_length_b 3.9830
_cell_length_c 7.0431
_cell_angle_alpha 90.00
_cell_angle_beta 90.00
_cell_angle_gamma 90.00
_space_group_name_H-M_alt 'P 1'
_space_group_IT_number 1
loop_
_space_group_symop_operation_xyz
'x,y,z'
loop_
_atom_site_label
_atom_site_type_symbol
_atom_site_fract_x
_atom_site_fract_y
_atom_site_fract_z
Si1 Si 0.0000 0.0000 0.5000
Sn1 Sn 0.5000 0.5000 0.0000
Pt1 Pt 0.0000 0.5000 0.2956
Pt2 Pt 0.0000 0.5000 0.7044
Pt3 Pt 0.5000 0.0000 0.2956
Pt4 Pt 0.5000 0.0000 0.7044
Pt5 Pt 0.0000 0.0000 0.0000

---

3.
# Tc3Pd r2SCAN relaxed
# * SG: No. 194
# * M_tot: 0.0 μB per formula unit
data_Tc3Pd
_chemical_formula_sum 'Tc6 Pd2'
_cell_length_a 5.4995
_cell_length_b 5.4995
_cell_length_c 4.3706
_cell_angle_alpha 90.00
_cell_angle_beta 90.00
_cell_angle_gamma 120.00
_space_group_name_H-M_alt 'P 1'
_space_group_IT_number 1
loop_
_space_group_symop_operation_xyz
'x,y,z'
loop_
_atom_site_label
_atom_site_type_symbol
_atom_site_fract_x
_atom_site_fract_y
_atom_site_fract_z
Tc1 Tc 0.8425 0.1575 0.7500
Tc2 Tc 0.3151 0.1575 0.7500
Tc3 Tc 0.8425 0.6849 0.7500
Tc4 Tc 0.1575 0.8425 0.2500
Tc5 Tc 0.6849 0.8425 0.2500
Tc6 Tc 0.1575 0.3151 0.2500
Pd1 Pd 0.6667 0.3333 0.2500
Pd2 Pd 0.3333 0.6667 0.7500

---

4.
# NdMg3 r2SCAN relaxed
# * SG: No. 225
# * M_tot: 0.0 μB per formula unit
data_NdMg3
_chemical_formula_sum 'Nd1 Mg3'
_cell_length_a 5.2249
_cell_length_b 5.2249
_cell_length_c 5.2249
_cell_angle_alpha 60.00
_cell_angle_beta 60.00
_cell_angle_gamma 60.00
_space_group_name_H-M_alt 'P 1'
_space_group_IT_number 1
loop_
_space_group_symop_operation_xyz
'x,y,z'
loop_
_atom_site_label
_atom_site_type_symbol
_atom_site_fract_x
_atom_site_fract_y
_atom_site_fract_z
Nd1 Nd 0.0000 0.0000 0.0000
Mg1 Mg 0.7500 0.7500 0.7500
Mg2 Mg 0.5000 0.5000 0.5000
Mg3 Mg 0.2500 0.2500 0.2500

---

5.
# BaMg4Si3 r2SCAN relaxed
# * SG: No. 123
# * M_tot: 0.0 μB per formula unit
data_BaMg4Si3
_chemical_formula_sum 'Ba1 Mg4 Si3'
_cell_length_a 4.6096
_cell_length_b 4.6096
_cell_length_c 8.5993
_cell_angle_alpha 90.00
_cell_angle_beta 90.00
_cell_angle_gamma 90.00
_space_group_name_H-M_alt 'P 1'
_space_group_IT_number 1
loop_
_space_group_symop_operation_xyz
'x,y,z'
loop_
_atom_site_label
- - -
The article goes on:



My concerns  about Reiwa Akuma-kun

about Reiwa Akuma-kun and Mephistopheles 3rd
to be honest, I couldn't understand the necessity of Mephistopheles 3rd, while his father (OMG) Mephistopheles 2nd was the most famous character in Heisei Akuma-kun and first love of many girls.
Toei repeatedly said that "Reiwa Akuma-kun project started as Toei saw the strong and passionate love of Heisei Akumakun fans. Reiwa Akumakun is story for fans". 
Then, is Mephistopheles 3rd and "Married" Mephistopheles 2nd is their gift to fans?

and more than that, I am really anxious about how Shingo Umoregi will appear in Reiwa Akuma Kun as his current appearance looks around 10-11years old.
Akumakun's (Shingo Umoregi's) dream of utopia is not only his dream but also ours. I do not want to see him kept in his young age (died? or cursed?) and cannot fulfill his dream.

I guess Toei used Umoregi Shinogo and Mephistopheles 2nd as "lure" for Heisei fans.
but as the ending of Heisei Akumakun was so emotional , I think every fan has their own "dream (I dare say Utopia)" about Shingo Umoregi and Mephistopheles 2nd's future in their hearts.
if Toei uses Shingo and Mephistopheles 2nd in Reiwa, that means Toei ruins such utopia.
I hope Toei do not use Umoregi Shinogo and Mephistopheles 2nd, and just make their new "Akuma-kun", without relying on Umoregi Shinogo and Mephistopheles 2nd's fame.

about working environment of Toei and ethical sense of Scenario writer
1 forced voluntary work of the Sound Director
During the fun meeting, Producer Mr.Nagatomi said that the music for the sound drama was provided by the Sound Director.and emphasized that "He is not going to pay for her labor". Japanese tend to applause one's non-pay work more than paid work, so I hope Toei pays for her labor and his comment was just a kind of joke to show how the new animation is attractive and how they (Toei team) is dedicating themselves for it. Of course I do not think it is a good & funny joke, as now other Toei groups are being sued with non-pay work and power harassment...they should be more sensitive from a compliance point of view.
*Additional note 2022/6/7
Toei official twitter account announced that the comment of Mr.Nagatomi was a joke and the payment was properly completed already.
I am grad to hear and grad to see that Toei official did some action to this concern.

2  improper tweets given from the Scenario writer of new Akumakun to a sexual crime to a girl, and others
a short summary of the background of tweet about crime:in Fukuoka Japan, a 78 years old man was arrested due to sexual crime to a 7 years old girl. and a news account tweeted about it with using a word "Mura Mura" as a expression of "feeling sexual desire".
As there's an old punchline to make people laugh,  "Monsieur Mura-Mura" in Japan,   the Scenario writer may recall it from this tweet, and commented "Monsieur Mura-Mura! >RT" when he retweets the news.
As mentioned above, "Monsieur Mura-Mura" is a punchline to make people laugh, and absolutely not the correct word to use against crime news which there's a victim who is suffered from it
For me, I cannot think that Mr.Oonogi has a proper sense of humanity as a Scenario writer for animations for kids even though he played the main Scenario Writer role in GEGEGE no Kitaro 6th season. A sexual crime, especially for young kids NEVER be a thing which you can laugh. I saw some other improper tweet about war, weapons and patent in his TL as well. I am wondering if he's really the best person to make stories for Reiwa Akuma-kun

I sent some messages to Toei. but today, 3/6, during streaming on YouTube, I could not see any honesty from the production side.

I wanted to hear how they think about relationship between Heisei Akuma-kun and Reiwa-akumakun

I wanted to hear how they think about above non-pay issue and ethical issue 

but nothing was told. so I nearly give up
Happy birthday, Reiwa-akumakun. I hope someone can bless you.
